Contents >
********
Density functional theory data (wB97M-V/def2-TZVPD) for a molecular structure, C25H23HgN8O2S2 at a distorted geometry.

```
61
Properties=species:S:1:pos:R:3:nbo_charge:R:1
Hg -3.777 0.745 -1.781 0.782
C -1.633 -0.902 -3.496 -0.270
N -1.714 0.228 -2.540 -0.703
C -1.052 1.479 -3.012 -0.285
C -1.080 2.534 -1.992 0.406
N -2.270 2.905 -1.512 -0.565
C -1.973 3.905 -0.580 0.061
C -2.869 4.676 0.183 -0.200
C -2.297 5.515 1.103 -0.212
C -0.871 5.578 1.239 -0.211
C -0.032 4.822 0.498 -0.245
C -0.612 4.025 -0.457 0.160
N -0.032 3.082 -1.383 -0.545
C -1.573 -2.141 -2.721 0.345
N -2.566 -2.965 -2.496 -0.454
C -2.088 -3.818 -1.568 0.064
C -2.757 -4.826 -0.816 -0.186
C -2.003 -5.586 0.058 -0.236
C -0.617 -5.417 0.107 -0.213
C 0.068 -4.409 -0.539 -0.245
C -0.702 -3.608 -1.361 0.173
N -0.382 -2.509 -2.154 -0.552
H -0.711 -0.730 -4.043 0.210
H -2.520 -0.924 -4.200 0.234
H -1.293 -0.001 -1.650 0.459
H -1.541 1.767 -3.915 0.224
H -0.001 1.217 -3.129 0.235
H -3.952 4.760 -0.031 0.227
H -2.934 6.271 1.615 0.219
H -0.410 6.227 1.936 0.212
H 1.049 5.065 0.530 0.225
H 0.897 2.588 -1.332 0.485
H -3.786 -4.945 -0.959 0.213
H -2.450 -6.462 0.513 0.214
H -0.012 -6.113 0.667 0.209
H 1.129 -4.260 -0.561 0.232
H 0.501 -2.041 -2.230 0.451
N 4.921 0.797 4.401 -0.835
C 4.278 0.653 3.193 0.261
C 3.554 1.677 2.606 -0.291
C 2.879 1.441 1.455 -0.154
C 2.921 0.203 0.812 -0.380
C 3.670 -0.818 1.371 -0.161
C 4.323 -0.560 2.567 -0.292
S 1.930 -0.141 -0.639 2.325
O 2.112 1.036 -1.506 -1.018
O 2.288 -1.438 -1.178 -0.982
N 0.420 -0.024 -0.195 -1.021
C -0.323 -0.761 0.666 0.308
S 0.399 -1.914 1.857 0.242
C -1.281 -2.361 2.314 -0.417
C -2.114 -1.621 1.598 -0.055
N -1.583 -0.709 0.669 -0.573
H 4.974 1.758 4.773 0.388
H 5.692 0.089 4.740 0.404
H 3.458 2.703 2.969 0.215
H 2.336 2.230 0.982 0.218
H 3.760 -1.779 0.868 0.242
H 4.938 -1.426 2.931 0.208
H -1.469 -3.077 3.112 0.241
H -3.217 -1.691 1.642 0.206
```

Calculated values
E in Eh: -2504.77927
Spin multiplicity: 2
E_HOMO (spin up / spin down) in eV: -7.58 / -7.57
Charge: 0
LUMO level (spin up / spin down) in eV: 0.247 / -2.350

---

Density functional theory data (wB97M-V/def2-TZVPD) for a molecular structure, C25H23N5PtS3.

```
57
Properties=species:S:1:pos:R:3:nbo_charge:R:1
Pt -0.051 1.212 0.243 0.863
N -0.973 3.144 -0.843 -0.877
C -1.737 3.918 0.054 0.242
C -1.413 5.260 0.225 -0.267
C -2.103 6.045 1.134 -0.207
C -3.127 5.483 1.881 -0.247
C -3.426 4.139 1.722 -0.181
C -2.745 3.322 0.822 -0.109
C -3.059 1.861 0.795 -0.033
C -4.408 1.502 0.884 -0.241
C -4.796 0.189 1.081 -0.252
C -3.810 -0.779 1.226 -0.218
C -2.478 -0.428 1.091 -0.260
C -2.051 0.878 0.819 -0.291
H -0.194 3.608 -1.302 0.431
H -1.514 2.623 -1.522 0.401
H -0.611 5.681 -0.369 0.214
H -1.835 7.087 1.257 0.205
H -3.672 6.078 2.603 0.203
H -4.188 3.688 2.346 0.209
H -5.164 2.275 0.803 0.201
H -5.846 -0.069 1.139 0.198
H -4.077 -1.810 1.433 0.195
H -1.723 -1.198 1.209 0.200
N 0.823 -2.294 0.301 -0.798
C -0.061 -2.108 -0.683 0.279
S -0.281 -0.642 -1.435 -0.050
N -0.827 -3.179 -1.076 -0.627
C -0.538 -4.551 -1.035 0.244
C 0.737 -5.064 -0.810 -0.292
C 0.930 -6.439 -0.806 -0.185
C -0.121 -7.313 -1.032 -0.249
C -1.387 -6.795 -1.275 -0.191
C -1.597 -5.429 -1.272 -0.271
H 1.195 -1.426 0.712 0.448
H 0.690 -3.072 0.929 0.392
H -1.594 -2.901 -1.668 0.416
H 1.580 -4.405 -0.671 0.239
H 1.928 -6.819 -0.632 0.212
H 0.043 -8.382 -1.027 0.209
H -2.222 -7.458 -1.460 0.210
H -2.589 -5.032 -1.447 0.212
S 1.432 -0.281 2.999 -0.124
C 1.030 0.299 1.571 -0.648
C 5.912 -0.310 -0.500 -0.643
C 5.245 1.025 -0.679 0.258
C 5.893 2.215 -0.365 -0.376
C 5.144 3.366 -0.539 0.081
N 3.895 3.371 -0.969 -0.495
C 3.346 2.175 -1.259 0.275
S 1.707 2.117 -1.820 -0.438
N 4.000 1.003 -1.126 -0.498
H 6.999 -0.220 -0.487 0.198
H 5.607 -0.984 -1.298 0.227
H 5.594 -0.755 0.445 0.228
H 6.912 2.240 -0.007 0.204
H 5.574 4.340 -0.312 0.172
```

Calculated values
E in Eh: -2554.10465
Spin multiplicity: 4
Energy relative to the best compared isomer or geometry (same formula, charge and spin) in kJ/mol: 0.0
********

Wanted >
Say how many lines of the data further up hold the word "or", as a bare number.

Outcome >
1